
To: Renee McKarge, Church Council; John Grenfell III, Senior Pastor

Plymouth First United Methodist Church,

From: Daniel Dalton,

Chair of the Board of Trustees

Re: Frequently Asked Questions regarding the proposed Endowment

Dated: January 24, 2014


Summary of Proposal

+++
Formula: C29H24ClIN2O4PSeTl
Source: the Open Molecules 2025 dataset
Level of theory: ωB97M-V/def2-TZVPD

XYZ file:
```
64
C29H24ClIN2O4PSeTl | the Open Molecules 2025 dataset | ωB97M-V/def2-TZVPD
Tl 0.639 1.292 -1.455
Cl -2.293 2.608 -0.675
C -3.779 1.738 -0.404
C -4.966 2.447 -0.531
C -6.168 1.780 -0.375
C -6.178 0.416 -0.102
C -4.982 -0.268 0.026
C -3.753 0.381 -0.114
P -2.150 -0.498 0.109
C -1.951 -1.405 -1.462
C -0.865 -2.278 -1.560
C -0.588 -2.935 -2.747
C -1.379 -2.708 -3.868
C -2.444 -1.825 -3.789
C -2.731 -1.178 -2.592
C -2.656 -1.803 1.297
C -2.885 -3.138 0.978
C -3.238 -4.047 1.969
C -3.371 -3.633 3.284
C -3.147 -2.301 3.612
C -2.784 -1.398 2.627
H -4.936 3.504 -0.757
H -7.098 2.326 -0.472
H -7.116 -0.111 0.017
H -4.990 -1.327 0.257
H -0.234 -2.443 -0.693
H 0.249 -3.620 -2.803
H -1.161 -3.216 -4.799
H -3.058 -1.636 -4.660
H -3.569 -0.493 -2.546
H -2.802 -3.473 -0.048
H -3.415 -5.083 1.706
H -3.644 -4.344 4.054
H -3.247 -1.969 4.638
H -2.600 -0.362 2.893
N 0.591 1.274 1.208
C 1.463 2.171 1.987
C 1.313 3.616 1.514
C 1.907 3.766 0.119
O 3.094 4.083 0.026
O 1.128 3.488 -0.864
H -0.383 1.470 1.414
H 0.751 0.303 1.461
H 2.497 1.850 1.841
H 1.250 2.103 3.058
H 1.856 4.267 2.198
H 0.256 3.896 1.509
I 9.328 3.487 -0.236
C 7.666 2.239 -0.376
C 7.860 0.868 -0.510
C 6.758 0.037 -0.604
C 5.475 0.581 -0.567
C 5.292 1.952 -0.435
C 6.393 2.788 -0.333
C 4.264 -0.259 -0.680
O 4.543 -1.603 -0.661
O 3.129 0.124 -0.744
H 8.858 0.455 -0.537
H 6.895 -1.031 -0.698
H 4.304 2.395 -0.387
H 6.238 3.851 -0.217
Se 3.184 -2.707 -1.063
C 2.060 -2.325 0.349
N 1.322 -2.138 1.214
```

- frontier orbital gap (eV) = 7.41
- total charge = 0
- total energy (Eh) = -5203.145218
- relative energy (zero: lowest compared OMol25 entry of this formula, charge and spin) (kJ/mol) = 90.6

Löwdin atomic charge list, values in e, 5 entries: number 1, Tl, carries 0.835; number 2, Cl, carries 0.668; number 3, C, carries -0.642; number 4, C, carries -0.105; number 5, C, carries -0.074



Formula: C29H24F6N3O6PdS2
Source: the Open Molecules 2025 dataset
Level of theory: ωB97M-V/def2-TZVPD

XYZ file:
```
71
C29H24F6N3O6PdS2 | the Open Molecules 2025 dataset | ωB97M-V/def2-TZVPD
Pd 2.028 -0.485 0.458
F 6.810 -0.837 -0.120
C 5.958 -1.084 0.883
F 5.330 0.060 1.147
F 6.692 -1.407 1.952
S 4.735 -2.464 0.435
O 3.904 -1.852 -0.564
O 5.576 -3.543 0.034
N 4.045 -2.753 1.813
S 2.931 -1.845 2.422
O 1.577 -2.224 2.176
O 3.233 -0.439 2.500
C 3.199 -2.361 4.214
F 2.410 -1.653 5.033
F 2.941 -3.651 4.443
F 4.459 -2.133 4.601
C -1.580 3.670 -0.382
C -1.418 2.743 0.639
C -0.240 2.038 0.773
C 0.819 2.243 -0.130
C 0.650 3.212 -1.138
C -0.539 3.899 -1.267
N 1.957 1.486 -0.082
C 3.179 2.030 -0.378
C 4.120 1.294 -1.121
C 5.381 1.805 -1.347
C 5.744 3.045 -0.835
C 4.818 3.790 -0.121
C 3.542 3.309 0.086
H -2.513 4.205 -0.489
H -2.237 2.566 1.321
H -0.105 1.306 1.562
H 1.445 3.371 -1.853
H -0.661 4.612 -2.073
H 3.825 0.319 -1.505
H 6.098 1.232 -1.917
H 6.742 3.428 -0.993
H 5.097 4.754 0.283
H 2.820 3.882 0.652
+++

It is requested that the Church Council approve the Board of Trustees to create an Endowment as permitted by the Book of Discipline. The main principle that underlies the purpose of an endowment fund is that endowment resources empower ministry. Prior to the February 9, 2014 Church Conference meeting, I was asked to prepare a memo with frequently asked questions and answers conserving the proposed endowment.

== Calculated molecules, kept here for reference ==
/*
{"formula": "C31H35O12PS2", "method": "wB97M-V/def2-TZVPD", "elements": ["C", "C", "C", "C", "O", "C", "C", "C", "C", "P", "C", "O", "C", "C", "C", "O", "C", "C", "C", "C", "C", "C", "C", "C", "C", "C", "C", "C", "C", "C", "C", "O", "H", "H", "H", "H", "H", "H", "H", "H", "H", "H", "H", "H", "H", "H", "H", "H", "H", "H", "H", "H", "H", "H", "H", "H", "H", "H", "H", "O", "S", "O", "O", "C", "C", "O", "H", "H", "H", "H", "O", "S", "O", "O", "C", "C", "O", "H", "H", "H", "H"], "xyz": [[-2.12565, -7.80566, 3.25093], [-2.84733, -7.22098, 2.02408], [-1.83279, -6.54357, 1.08955], [-2.55180, -5.77489, 0.00126], [-1.74377, -5.32098, -1.10055], [-0.40084, -5.22796, -0.91257], [0.41969, -6.25975, -1.35681], [1.78964, -6.18133, -1.23664], [2.42658, -5.07913, -0.65029], [4.26214, -5.06100, -0.52726], [4.72768, -5.78343, -2.16380], [4.71667, -3.50078, -0.77236], [1.59804, -4.05202, -0.19018], [0.20296, -4.11684, -0.33179], [-0.59330, -2.93200, 0.12862], [-1.64569, -3.01844, 0.72100], [0.06171, -1.62474, -0.16931], [-0.64161, -0.52077, -0.63192], [0.04636, 0.64992, -0.92391], [-0.67359, 1.87478, -1.47761], [-0.08427, 2.24970, -2.81886], [0.70131, 3.39445, -2.91670], [1.29415, 3.76773, -4.11099], [1.09507, 3.00348, -5.24814], [0.30734, 1.86233, -5.16140], [-0.28295, 1.47194, -3.96663], [-1.10479, 0.20750, -3.94315], [1.42371, 0.71189, -0.70847], [2.12931, -0.38278, -0.23580], [1.43796, -1.55952, 0.01854], [2.11573, -2.80711, 0.47740], [2.96349, -2.82691, 1.34031], [-2.54764, -8.75962, 3.55876], [-2.12545, -7.09373, 4.07402], [-1.08126, -7.99399, 2.99490], [-3.27544, -8.05049, 1.45792], [-3.61864, -6.51429, 2.32621], [-1.19078, -7.33067, 0.69211], [-1.24576, -5.84372, 1.68927], [-3.03017, -4.90839, 0.45920], [-3.35172, -6.38241, -0.42634], [-0.05943, -7.10723, -1.82962], [2.38021, -7.00061, -1.61944], [5.72542, -6.20216, -2.05467], [4.02443, -6.53488, -2.50281], [4.79464, -4.97942, -2.89898], [4.17782, -3.04110, -1.43000], [-1.71368, -0.59022, -0.76375], [-0.48164, 2.67598, -0.76741], [-1.73610, 1.65820, -1.56052], [0.85749, 4.00465, -2.03493], [1.91761, 4.65124, -4.15469], [1.55502, 3.26506, -6.19130], [0.16235, 1.27012, -6.05654], [-0.64443, -0.51688, -3.27197], [-2.13854, 0.39112, -3.65162], [-1.10463, -0.24760, -4.93247], [1.94743, 1.63505, -0.92366], [3.19899, -0.36111, -0.07554], [-1.31311, 6.14380, -0.28998], [-2.20344, 5.14853, 0.19433], [-2.74867, 4.16191, -0.66658], [-3.38717, 5.87302, 0.98233], [-3.46152, 5.38122, 2.33177], [-2.03493, 4.99874, 2.66702], [-1.54166, 4.41453, 1.44101], [-4.13302, 4.52089, 2.34980], [-3.84894, 6.16136, 2.98081], [-1.96791, 4.27306, 3.47178], [-1.42455, 5.86860, 2.91054], [-0.18714, 6.60211, 4.35821], [0.47176, 7.72340, 4.93777], [0.74078, 7.77291, 6.32599], [-0.31560, 9.03454, 4.48150], [0.56905, 9.94159, 3.80348], [1.59986, 9.03712, 3.15891], [1.82024, 8.01183, 4.14184], [1.01817, 10.60585, 4.54328], [0.00759, 10.52486, 3.07965], [2.53604, 9.54327, 2.94462], [1.21690, 8.57085, 2.24923]], "mulliken_charge": [-1.2120, -0.4882, -0.2741, -0.9091, -0.5537, 0.0959, -0.9298, -0.6189, 0.6789, 0.0110, -0.9523, -0.4360, 0.8204, 0.2784, -0.1998, -0.6029, 0.8183, -0.6527, 0.7185, -0.9530, 0.4394, -0.5035, -0.8286, -0.5814, -0.8301, 1.0352, -1.1899, -0.5515, -1.4521, 0.6877, -0.3033, -0.5165, 0.3653, 0.2970, 0.3251, 0.3264, 0.3833, 0.2941, 0.3462, 0.2864, 0.4939, 0.5280, 0.4212, 0.3136, 0.3287, 0.2880, 0.3344, 0.5135, 0.1279, 0.5051, 0.4380, 0.3829, 0.3989, 0.3363, 0.1749, 0.2877, 0.4161, 0.5123, 0.5049, -0.5916, 1.1781, -0.5011, -0.3379, -0.3540, -0.2369, -0.2665, 0.2845, 0.3190, 0.2708, 0.3207, -0.4920, 1.0482, -0.5554, -0.3079, -0.3086, -0.2869, -0.3163, 0.2782, 0.3091, 0.3066, 0.2654], "homo_lumo_gap_ev": 8.0, "molar_mass_g_mol": 694.717, "energy_ha": -3242.8583, "spin_multiplicity": 1}
*/
== End of the calculated molecules ==

Frequently asked questions

Why do we need an Endowment Fund? Just as individuals and families plan for the future through savings, our church also needs a strong long-range financial plan. We know that a healthy capital fund can increase our ability to serve during good times, and avoid financial difficulty during hard times. The Fund will enable our church to meet some of its needs and provide financial stability.

Who prepared the Endowment and what is its history with the Church? The Church Council unanimously voted in March 2013 to direct the Trustees to prepare an Endowment fund. Daniel Dalton, chair of the Board of Trustees, prepared the Endowment and had it reviewed by the Ann Arbor District Chancellor to determine if it was consistent with the Book of Discipline. The proposed Endowment was quickly approved by the Chancellor and brought to the Board of Trustees and Finance Committee for approval. Both bodies approved the Endowment. It was then brought back to the Church Council for approval. The Church Council unanimously approved the Endowment, attached to this memorandum, in the fall of 2013.

Is there scriptural support for an Endowment? Yes. Just as there are personal and business aspect reasons for saving money, the same is true with respect to scriptural support in the book of Genesis. Though we are quick to disparage Pharaoh, nonetheless it was none other than that particular Pharaoh who asked his advisors, “Can we find anyone else like this-one in whom is the Spirit of God?” when referring to Joseph. Pharaoh then said to Joseph, “Since God has shown you all this, there is no one so discerning and wise as you.” Pharaoh said “to all the Egyptians, “Go to Joseph; what he says to you, do.” (Genesis 41:55) Pharaoh’s wisdom was enlisting a godly man like Joseph in his administration and it was a Spirit-filled man like Joseph who “stored up” what some may refer to as “treasures on earth”, as he was exercising God-given wisdom on behalf of humans with needs. And it was this Spirit-filled man who determined who got what. For the very reason Dave Ramsay advocates for an “emergency fund,” we have unanimously affirmed the creation of an endowment fund, which in principle, accomplishes the same goal as Ramsay and Joseph have aimed at – being responsibly prepared as wisdom would guide. Employing the wisdom of Holy Scripture and the collective wisdom garnered over these past couple of centuries and now lodged in our Discipline, we celebrate the twice unanimous affirmations of our Church Council for us to better position ourselves for the enduring ministry of Plymouth: First United Methodist Church.

Who manages the Endowment? The Book of Discipline provides that the Trustees manage Endowments. We currently manage one Endowment. Given the Trustees responsibility to manage the property belonging to our charge, to receive and administer funds in conformity with the laws of the state and our Discipline’s requirements, and to provide for the security of such funds, we strive to be faithful to God utilizing the wisdom and knowledge He has blessed us with to fulfill our task.Quite a few hours and much conversation produced that which was given unanimous support to pursue at the beginning of this year, culminating with yet another unanimous decision to implement at our most recent meeting.

Who sets the Endowment investment and spending policy?The Trustees have set the investment and spending policy, which is identical to the Sweet Endowment, for the proposed Endowment. The attached Endowment includes the investment policy, the Spending policy is attached.

What is Endowment’s spending rate/policy? Spending allotments will begin with the flat amount allocated to each individual account for the prior fiscal year and new gift additions to the endowment paying out 5 percent of the gift amount. Each new fiscal year, a decision about whether there should be an inflation increase is made. A risk control mechanism will be employed to keep spending within a range of 4-6 percent of market value for the asset allocation policy to work, with a minimum target rate of return of 8 percent (5 percent average spending and 3 percent inflation)

How Flexible is the Endowment Fund? The laws governing the fund are detailed and restrictive to assure proper use and accounting of gifts, yet there is considerable flexibility in the manner of receipt and distribution of these gifts for specific purposes. The fund financial managers can help you and your advisors design a “gift plan” that will meet your specific objectives.

What is the Endowment Fund’s Tax Status? The fund would be an entity of Plymouth First United Methodist Church. Gifts to the Endowment fund are treated, for tax purposes, as if they were given to our Church. And contributions to the Fund are deductible for income and estate tax purposes. However, assets of the Fund are separate from the assets of our Church and not co-mingled with the operating funds of the Church.

Why are gifts important to Plymouth: First United Methodist Church? Consistent, annual giving is the financial lifeblood sustaining the Church's day-to-day mission of delivering a transformational education characterized by excellence, faith, leadership and service.Investments are long-term in nature and are subject to short-term market fluctuation. Donor support not only helps smooth out the impact of short-term market volatility on endowment payout, but it also increases the amount of money being invested, making larger investment returns possible.

How Can I Help the Endowment Fund? There are many opportunities and ways to provide Fund support. Specifically, donations of money, personal property, real estate, and securities are encouraged and requested. Bequests through wills, trusts, and life insurance, which name the Fund as beneficiary, are other forms of gifts to the Fund. Such gifts may be bestowed by individuals, families, businesses, and corporations. You may designate a specific use for your gift; however, Fund gifts are not to take the place of your yearly tithes and pledges, which sustain the Church annually

What is the minimum amount required to establish anEndowment?$1,000

Why does the value of an Endowment fund fluctuate? Gifts to the fund can increase the market value. Endowment distribution can decrease the market value. Investment earnings can increase or decrease the value, depending on market returns.

Who should I contact if I have a question about the Endowment? For information on how to make donations and gifts to, please contact Daniel Dalton, Chair of the Board of Trustees at 248.229.2329 or .